Given =
- - -
[1]
Below is a gas-phase ion, C4H7N2 (charge +1) in a non-equilibrium geometry, with properties calculated with ωB97M-V/def2-TZVPD.

As for the total charge: +1. The HOMO-LUMO gap comes out at 0.3910 Eh. Its max |F| is 0.054 Eh/bohr.

Last column: Löwdin charge in e.
Positions of all 13 atoms, in Å:
C -1.587 1.047 -0.063  0.08
C -1.504 -0.284 0.097  -0.09
C 0.955 -0.100 -0.358  -0.26
C 1.865 0.953 0.405  0.15
N 2.358 -0.134 -0.132  0.06
N -0.154 -0.837 0.450  0.09
H -2.523 1.502 -0.358  0.08
H -0.964 1.914 0.216  0.10
H -2.162 -0.924 -0.474  0.12
H 0.564 0.193 -1.286  0.11
H 3.159 -0.793 -0.220  0.18
H 0.101 -0.682 1.435  0.18
H -0.106 -1.855 0.287  0.18



[2]
Below is 3 unconnected molecules or ions with the total composition C36H28BNO7 in a non-equilibrium geometry, with properties calculated with ωB97M-V/def2-TZVPD.

As for the total charge: 0. The HOMO-LUMO gap comes out at 0.3188 Eh. Its max |F| is 0.038 Eh/bohr. As for the SMILES: O=C1c2ccccc2C(=O)c2ccccc21.O=C1c2ccccc2C(=O)c2ccccc21.C#CB(COC(C)=O)N(C)C(C)=O.

Last column: Löwdin charge in e.
Positions of all 73 atoms, in Å:
O 3.648 -3.653 -2.598  0.10
C 3.280 -2.644 -2.025  -0.28
C 4.159 -1.450 -1.961  -0.08
C 5.406 -1.480 -2.581  0.00
C 6.218 -0.354 -2.561  -0.06
C 5.787 0.806 -1.922  -0.06
C 4.553 0.834 -1.288  0.00
C 3.738 -0.295 -1.301  -0.08
C 2.429 -0.261 -0.606  -0.28
O 2.087 0.729 0.016  0.09
C 1.542 -1.446 -0.686  -0.09
C 0.294 -1.414 -0.068  0.00
C -0.557 -2.506 -0.165  -0.06
C -0.165 -3.634 -0.880  -0.05
C 1.083 -3.676 -1.486  0.00
C 1.943 -2.584 -1.386  -0.08
H 5.744 -2.379 -3.085  0.12
H 7.187 -0.378 -3.048  0.11
H 6.417 1.689 -1.918  0.11
H 4.224 1.739 -0.788  0.12
H -0.017 -0.535 0.487  0.12
H -1.530 -2.478 0.314  0.10
H -0.835 -4.483 -0.963  0.11
H 1.384 -4.559 -2.039  0.12
O -5.727 -4.675 6.449  0.11
C -5.062 -4.717 5.431  -0.28
C -3.942 -3.766 5.222  -0.08
C -3.639 -2.833 6.211  0.00
C -2.568 -1.966 6.041  -0.05
C -1.796 -2.027 4.884  -0.05
C -2.106 -2.944 3.889  0.00
C -3.183 -3.812 4.052  -0.08
C -3.517 -4.775 2.975  -0.28
O -2.888 -4.776 1.932  0.09
C -4.622 -5.738 3.191  -0.08
C -4.923 -6.673 2.203  0.00
C -5.934 -7.600 2.409  -0.06
C -6.649 -7.599 3.605  -0.06
C -6.362 -6.661 4.587  0.00
C -5.351 -5.724 4.381  -0.08
H -4.234 -2.785 7.116  0.12
H -2.331 -1.243 6.814  0.11
H -0.952 -1.358 4.758  0.11
H -1.504 -2.984 2.988  0.11
H -4.366 -6.681 1.272  0.12
H -6.164 -8.329 1.640  0.11
H -7.433 -8.331 3.769  0.11
H -6.924 -6.663 5.514  0.12
C 2.655 6.044 0.355  0.09
C 2.556 5.751 -0.833  0.00
B 2.167 5.403 -2.358  -0.33
C 2.546 6.500 -3.482  -0.09
O 1.331 7.312 -3.684  -0.06
C 1.641 8.673 -3.773  -0.47
C 1.245 9.439 -5.106  0.01
O 2.158 9.323 -2.887  0.10
N 1.464 4.126 -2.573  0.00
C 1.353 3.740 -4.009  -0.07
C 0.154 4.244 -1.921  -0.42
C -0.068 3.799 -0.413  0.00
O -0.787 4.730 -2.526  0.09
H 2.619 6.018 1.475  0.06
H 3.412 7.166 -3.169  0.13
H 2.792 6.046 -4.497  0.12
H 1.482 10.535 -4.985  0.09
H 1.783 8.964 -5.977  0.09
H 0.121 9.351 -5.255  0.09
H 2.288 3.188 -4.330  0.10
H 0.518 2.966 -4.068  0.11
H 1.050 4.569 -4.705  0.10
H -0.907 3.051 -0.306  0.09
H 0.902 3.409 0.034  0.08
H -0.313 4.728 0.198  0.09



[3]
Below is 2 unconnected molecules or ions with the total composition C9H15F2N3 in a non-equilibrium geometry, with properties calculated with ωB97M-V/def2-TZVPD.

As for the total charge: 0. The HOMO-LUMO gap comes out at 0.3826 Eh. Its max |F| is 0.091 Eh/bohr.

Last column: Löwdin charge in e.
Positions of all 29 atoms, in Å:
C 3.644 2.245 -0.065  -0.25
C 2.017 0.946 0.052  -0.13
C 0.035 -0.497 -1.813  -0.08
C -1.833 -1.115 -0.274  -0.04
C 0.180 -0.238 1.961  -0.08
C -0.564 1.608 0.492  -0.08
C -0.302 -0.868 -0.382  -0.43
C 3.353 -1.179 -0.124  -0.34
C 0.018 0.234 0.584  -0.32
N 2.310 2.251 0.088  0.10
N 4.191 1.094 -0.130  0.12
N 3.121 0.232 -0.142  -0.05
F 3.522 -1.579 1.161  0.09
F 4.513 -1.508 -0.796  0.05
H 4.167 3.089 -0.266  0.08
H -0.014 -1.425 -2.545  0.13
H 0.970 -0.103 -1.751  0.01
H -0.723 0.193 -2.262  0.09
- - -

Assignment =
Next, set down the entries above unchanged.

Reply =
[1]
Below is a gas-phase ion, C4H7N2 (charge +1) in a non-equilibrium geometry, with properties calculated with ωB97M-V/def2-TZVPD.

As for the total charge: +1. The HOMO-LUMO gap comes out at 0.3910 Eh. Its max |F| is 0.054 Eh/bohr.

Last column: Löwdin charge in e.
Positions of all 13 atoms, in Å:
C -1.587 1.047 -0.063  0.08
C -1.504 -0.284 0.097  -0.09
C 0.955 -0.100 -0.358  -0.26
C 1.865 0.953 0.405  0.15
N 2.358 -0.134 -0.132  0.06
N -0.154 -0.837 0.450  0.09
H -2.523 1.502 -0.358  0.08
H -0.964 1.914 0.216  0.10
H -2.162 -0.924 -0.474  0.12
H 0.564 0.193 -1.286  0.11
H 3.159 -0.793 -0.220  0.18
H 0.101 -0.682 1.435  0.18
H -0.106 -1.855 0.287  0.18



[2]
Below is 3 unconnected molecules or ions with the total composition C36H28BNO7 in a non-equilibrium geometry, with properties calculated with ωB97M-V/def2-TZVPD.

As for the total charge: 0. The HOMO-LUMO gap comes out at 0.3188 Eh. Its max |F| is 0.038 Eh/bohr. As for the SMILES: O=C1c2ccccc2C(=O)c2ccccc21.O=C1c2ccccc2C(=O)c2ccccc21.C#CB(COC(C)=O)N(C)C(C)=O.

Last column: Löwdin charge in e.
Positions of all 73 atoms, in Å:
O 3.648 -3.653 -2.598  0.10
C 3.280 -2.644 -2.025  -0.28
C 4.159 -1.450 -1.961  -0.08
C 5.406 -1.480 -2.581  0.00
C 6.218 -0.354 -2.561  -0.06
C 5.787 0.806 -1.922  -0.06
C 4.553 0.834 -1.288  0.00
C 3.738 -0.295 -1.301  -0.08
C 2.429 -0.261 -0.606  -0.28
O 2.087 0.729 0.016  0.09
C 1.542 -1.446 -0.686  -0.09
C 0.294 -1.414 -0.068  0.00
C -0.557 -2.506 -0.165  -0.06
C -0.165 -3.634 -0.880  -0.05
C 1.083 -3.676 -1.486  0.00
C 1.943 -2.584 -1.386  -0.08
H 5.744 -2.379 -3.085  0.12
H 7.187 -0.378 -3.048  0.11
H 6.417 1.689 -1.918  0.11
H 4.224 1.739 -0.788  0.12
H -0.017 -0.535 0.487  0.12
H -1.530 -2.478 0.314  0.10
H -0.835 -4.483 -0.963  0.11
H 1.384 -4.559 -2.039  0.12
O -5.727 -4.675 6.449  0.11
C -5.062 -4.717 5.431  -0.28
C -3.942 -3.766 5.222  -0.08
C -3.639 -2.833 6.211  0.00
C -2.568 -1.966 6.041  -0.05
C -1.796 -2.027 4.884  -0.05
C -2.106 -2.944 3.889  0.00
C -3.183 -3.812 4.052  -0.08
C -3.517 -4.775 2.975  -0.28
O -2.888 -4.776 1.932  0.09
C -4.622 -5.738 3.191  -0.08
C -4.923 -6.673 2.203  0.00
C -5.934 -7.600 2.409  -0.06
C -6.649 -7.599 3.605  -0.06
C -6.362 -6.661 4.587  0.00
C -5.351 -5.724 4.381  -0.08
H -4.234 -2.785 7.116  0.12
H -2.331 -1.243 6.814  0.11
H -0.952 -1.358 4.758  0.11
H -1.504 -2.984 2.988  0.11
H -4.366 -6.681 1.272  0.12
H -6.164 -8.329 1.640  0.11
H -7.433 -8.331 3.769  0.11
H -6.924 -6.663 5.514  0.12
C 2.655 6.044 0.355  0.09
C 2.556 5.751 -0.833  0.00
B 2.167 5.403 -2.358  -0.33
C 2.546 6.500 -3.482  -0.09
O 1.331 7.312 -3.684  -0.06
C 1.641 8.673 -3.773  -0.47
C 1.245 9.439 -5.106  0.01
O 2.158 9.323 -2.887  0.10
N 1.464 4.126 -2.573  0.00
C 1.353 3.740 -4.009  -0.07
C 0.154 4.244 -1.921  -0.42
C -0.068 3.799 -0.413  0.00
O -0.787 4.730 -2.526  0.09
H 2.619 6.018 1.475  0.06
H 3.412 7.166 -3.169  0.13
H 2.792 6.046 -4.497  0.12
H 1.482 10.535 -4.985  0.09
H 1.783 8.964 -5.977  0.09
H 0.121 9.351 -5.255  0.09
H 2.288 3.188 -4.330  0.10
H 0.518 2.966 -4.068  0.11
H 1.050 4.569 -4.705  0.10
H -0.907 3.051 -0.306  0.09
H 0.902 3.409 0.034  0.08
H -0.313 4.728 0.198  0.09



[3]
Below is 2 unconnected molecules or ions with the total composition C9H15F2N3 in a non-equilibrium geometry, with properties calculated with ωB97M-V/def2-TZVPD.

As for the total charge: 0. The HOMO-LUMO gap comes out at 0.3826 Eh. Its max |F| is 0.091 Eh/bohr.

Last column: Löwdin charge in e.
Positions of all 29 atoms, in Å:
C 3.644 2.245 -0.065  -0.25
C 2.017 0.946 0.052  -0.13
C 0.035 -0.497 -1.813  -0.08
C -1.833 -1.115 -0.274  -0.04
C 0.180 -0.238 1.961  -0.08
C -0.564 1.608 0.492  -0.08
C -0.302 -0.868 -0.382  -0.43
C 3.353 -1.179 -0.124  -0.34
C 0.018 0.234 0.584  -0.32
N 2.310 2.251 0.088  0.10
N 4.191 1.094 -0.130  0.12
N 3.121 0.232 -0.142  -0.05
F 3.522 -1.579 1.161  0.09
F 4.513 -1.508 -0.796  0.05
H 4.167 3.089 -0.266  0.08
H -0.014 -1.425 -2.545  0.13
H 0.970 -0.103 -1.751  0.01
H -0.723 0.193 -2.262  0.09